Conservatives announce new tax credits for employees and solvency funding relief for sponsors of federally regulated pension plans
As anticipated, the first budget tabled by federal Minister of Finance Jim Flaherty provides for selected tax relief and focused federal spending. The budget contains a number of announcements relating to employers’ HR interests, such as new tax credits for employees and solvency funding relief for sponsors of federally regulated pension plans.
Funding Canada’s retirement income system
Federally regulated defined benefit (DB) pension plans: Recognizing that funding is a key, immediate issue affecting many DB plans, the budget proposes four temporary measures to provide solvency funding relief. The measures that follow will help employers that operate under federal jurisdiction.
•Plan sponsors may consolidate solvency payment schedules and amortize the entire solvency deficit over a single, new five-year period. This will smooth and potentially extend existing solvency payment obligations.
•Plan sponsors may extend the solvency funding period to 10 years, provided plan members are informed of the change and no more than one-third of members, active or retired, object.
•Plan sponsors may also extend the solvency funding period to 10 years, if the difference between the five-year and 10-year level of payments is secured by a letter of credit. This measure will reduce annual solvency amortization payments for sponsors, while protecting pension benefits for members and retirees.
•The solvency amortization period for federal Crown corporations will be extended to 10 years, subject to certain conditions.
Funding relief will be available only to plan sponsors whose contributions are up to date and only for the first valuation report filed before 2008. The budget announcement indicates the government will continue to monitor DB pension plans and will consider further action as necessary.
As a first step, sponsors of federally regulated DB plans should consider reviewing the funded positions of their plans to assess the potential impact of this funding relief.
Details of this measure will be addressed in draft regulations that are expected to be released shortly. It is possible the new rules may not be formally adopted by June 30, in which case any valuation reports that are due by then must be filed in accordance with the current funding rules. There may be a possibility to file a revised valuation report once the proposed rules are formally adopted.
The government’s initiative is welcome. This resembles the temporary measures the Quebec government adopted in 2005 for DB plans registered in Quebec. Other jurisdictions would do well to adopt similar measures.
But the relief is only temporary and other steps may be required to improve the viability of DB pension plans. Despite ongoing discussion in the pension industry of the need to relax the tax rules limiting the amount of surplus pension plans can hold without restricting employer contributions, the budget does not address this issue. Over the long term, such a change would have a broader impact on the funding of DB plans across Canada by providing more flexibility to employers to manage contributions.
Canada and Quebec Pension Plans: The government will discuss with the provinces the possibility of allocating a portion of any future federal year-end surpluses over $3 billion to the Canada Pension Plan and the Quebec Pension Plan. Accelerated funding would improve intergenerational equity in the CPP/QPP by improving the ratio of benefits to contributions for younger workers. The government believes pre-funding CPP/QPP obligations will also improve labour market participation over the long term by lowering payroll taxes in the future. HR managers should watch for further developments when discussions with the provinces begin.
**Here the page breaks off for calculated crystals:**
=====
Structure and calculated PXRD pattern of FeS2 (the GGA-PBE geometry in the Materials Project; CuKα).
Lines closer than 0.1° are merged.

Top 12 peaks for 15 to 90 degrees two-theta, most intense first:
h k l	two_theta	intensity
1 3 1	47.50	100
1 2 1	35.36	93
2 1 1	37.60	79
1 1 3	52.73	62
3 1 1	52.15	58
0 2 0	27.38	48
1 0 2	35.18	47
2 1 0	34.00	45
0 1 2	34.41	43
1 2 2	45.14	39
3 2 1	58.02	38
1 2 3	58.56	38

Crystal structure
Cell lengths 5.767, 6.515, 5.688 Å; angles 90.00, 90.00, 90.00 degrees
Sites, in units of the cell vectors:
Fe (0.000, 0.104, 0.250)
Fe (0.000, 0.896, 0.750)
Fe (0.500, 0.104, 0.750)
Fe (0.500, 0.896, 0.250)
S (0.135, 0.226, 0.611)
S (0.135, 0.774, 0.111)
S (0.365, 0.226, 0.111)
S (0.365, 0.774, 0.611)
S (0.635, 0.226, 0.389)
S (0.635, 0.774, 0.889)
S (0.865, 0.226, 0.889)
S (0.865, 0.774, 0.389)

=====

Record 1
For KMg2In3, a crystal structure in Alexandria, relaxed with PBE gives the theoretical powder diffractogram in this record (Cu Kα, 1.54184 Å).
Neutral-atom scattering factors, no anomalous dispersion.

abc: 12.073 9.844 6.026
angles: 90.00 90.00 90.00
Space group Cmcm (No. 63)
One atom of each set of equivalent atoms:
K 0.000 0.170 0.250 (multiplicity 4)
Mg 0.218 0.500 0.000 (multiplicity 8)
In 0.000 0.437 0.750 (multiplicity 4)
In 0.187 0.230 0.750 (multiplicity 8)

The 12 most intense peaks (10° ≤ 2θ ≤ 90°), by intensity:
2θ/deg  d/Å  I_rel  hkl
38.42  2.343  100  3 3 1
28.17  3.168  95  3 1 1
38.05  2.365  70  2 2 2
29.64  3.014  62  0 0 2
11.60  7.629  55  1 1 0
27.68  3.223  49  2 2 1
23.32  3.814  49  2 2 0
18.76  4.729  47  1 1 1
41.32  2.185  40  5 1 1
34.91  2.570  30  0 2 2
39.55  2.279  30  2 4 0
62.81  1.479  30  5 5 1


Record 2
For KMg6In6, a crystal structure in Alexandria, relaxed with PBE gives the theoretical powder diffractogram in this record (Cu Kα, 1.54184 Å).
Neutral-atom scattering factors, no anomalous dispersion.

abc: 6.201 10.057 10.617
angles: 90.00 90.00 90.00
Space group Immm (No. 71)
One atom of each set of equivalent atoms:
K 0.000 0.000 0.000 (multiplicity 2)
Mg 0.000 0.264 0.500 (multiplicity 4)
Mg 0.250 0.250 0.250 (multiplicity 8)
In 0.000 0.000 0.347 (multiplicity 4)
In 0.000 0.349 0.000 (multiplicity 4)
In 0.000 0.500 0.311 (multiplicity 4)

The 12 most intense peaks (10° ≤ 2θ ≤ 90°), by intensity:
2θ/deg  d/Å  I_rel  hkl
29.05  3.074  100  1 0 3
34.19  2.623  62  1 2 3
28.79  3.101  56  2 0 0
39.62  2.275  55  0 4 2
38.08  2.363  42  2 2 2
34.80  2.578  37  1 3 2
33.97  2.639  36  2 2 0
12.12  7.301  32  0 1 1
17.64  5.029  29  0 2 0
24.28  3.666  29  1 2 1
63.19  1.472  25  1 6 3
51.18  1.785  20  3 0 3


Record 3
For K3Mg20In14, a crystal structure in Alexandria, relaxed with PBE gives the theoretical powder diffractogram in this record (Cu Kα, 1.54184 Å).
Neutral-atom scattering factors, no anomalous dispersion.

abc: 9.817 9.817 9.817
angles: 90.00 90.00 90.00
Space group Pm-3m (No. 221)
One atom of each set of equivalent atoms:
K 0.000 0.000 0.500 (multiplicity 3)
=====
Tax initiatives of interest to employers
There were several changes to personal income tax provisions that will affect payroll systems, benefit plans and recruiting.
Personal income tax rates: The budget announces changes to the lowest personal income tax rate and the basic personal amount (the amount Canadians can earn without paying federal income tax). Payroll systems will need to be adjusted to reflect these changes.
Pension income tax credit: The maximum amount of annual pension income eligible for the pension income tax credit will double to $2,000, effective retroactively to Jan. 1 this year. While welcome news to pensioners, this will have little if any effect on employers’ plan design decisions.
Medical expense tax credit: The 2005 federal budget proposed to expand the list of expenses eligible for the medical expense tax credit, but the enabling legislation did not pass before Parliament was dissolved last fall. This budget confirms the government’s intention to adopt the expanded list of eligible medical expenses.
A liberalized definition of “medical expenses” under the Income Tax Act could have implications for employer-sponsored health benefit plans, which are usually designed to qualify as private health services plans (PHSPs). To be tax effective, PHSPs are limited to providing medical and dental benefits that would otherwise qualify for the medical expense tax credit. The wording of many PHSP policies is such that an expansion of the list of items eligible for the medical expense tax credit would automatically expand the list of eligible expenses under the employer-sponsored plan. Employers may wish to consider whether they want to extend such coverage under their insured group benefit plans.
This measure will also expand the list of eligible expenses for employers that provide health spending accounts for their employees. The administration of group benefit plans that have a health spending account will need to be revised to reflect these changes.
Canada employment credit: The budget introduces a new “Canada employment credit,” a tax credit on employment income of up to $500, effective July 1. The income eligible for the credit will increase to $1,000 on Jan. 1 next year, and will be indexed in subsequent years. The budget states that this measure will put employees on a more equal footing with the self-employed in terms of the tax relief available for expenses incurred to earn income.
Employee tool expenses: To provide relief to employed tradespeople, the budget proposes a new deduction of up to $500 for the cost of tools in excess of $1,000 that a tradesperson must provide as a condition of employment. This measure will apply to tools acquired on or after May 2. Employers need to certify that the employee is required to acquire the tools as a condition of, and for use in, employment.
Apprenticeship job creation tax credit: The budget proposes a new apprenticeship job creation tax credit to encourage employers to hire new apprentices in certain trades, including electricians and plumbers. Effective May 2, eligible employers will receive a tax credit of 10 per cent of the wages paid to qualifying apprentices in the first two years of their contract, to a maximum credit of $2,000 per apprentice per year — that is, the credit will apply to up to $20,000 of the apprentice’s salary and wages. The credit will not apply to bonuses or profit-related payments.
Dividend tax credit: To eliminate double taxation of dividends paid by large Canadian corporations, the budget announces that for dividends paid after 2005, the dividend gross-up and dividend tax credit will be increased. This means the rate of tax payable on earnings distributed as dividends will more nearly approximate the rate of tax applicable to other types of investment income, such as interest income and income trust distributions. This change mirrors changes to the tax treatment of dividends first announced last November by former Minister of Finance Ralph Goodale. This measure may affect investment decisions made by employees in non-registered savings plans.
Between two parts of the article: records of crystals:
-- begin --
Entry 1:
# AcPmNi2
Calculated PXRD pattern, Cu Kα. Input: a cell relaxed with PBE.
Intensities are scaled so that the largest is 100.

Principal peaks in the range 2θ from 10° to 90°, sorted by position:
2θ = 26.14°, rel. 51; 2θ = 31.72°, rel. 100; 2θ = 32.54°, rel. 29; 2θ = 33.37°, rel. 46; 2θ = 39.46°, rel. 53; 2θ = 41.58°, rel. 26; 2θ = 53.76°, rel. 29; 2θ = 54.31°, rel. 39

Atomic structure:
abc: 3.939 4.344 5.841
angles: 90.00 109.58 90.00
Fractional coordinates of all 4 atoms:
Ac1 0.000 0.000 0.000
Pm1 0.272 0.500 0.543
Ni1 0.576 0.500 0.151
Ni2 0.713 0.000 0.427

=====

Entry 2:
# Ac2PrNi3
Calculated PXRD pattern, Cu Kα. Input: a cell relaxed with PBE.
Intensities are scaled so that the largest is 100.

Principal peaks in the range 2θ from 10° to 90°, sorted by position:
2θ = 27.70°, rel. 49; 2θ = 27.83°, rel. 100; 2θ = 37.91°, rel. 52; 2θ = 38.21°, rel. 25; 2θ = 41.34°, rel. 49; 2θ = 47.84°, rel. 22; 2θ = 57.50°, rel. 12; 2θ = 58.15°, rel. 20

Atomic structure:
abc: 8.181 8.181 5.161
angles: 90.00 90.00 60.50
Fractional coordinates of all 12 atoms:
Ac1 0.011 0.667 0.750
Ac2 0.333 0.989 0.750
Ac3 0.667 0.011 0.250
Ac4 0.989 0.333 0.250
Pr1 0.345 0.655 0.250
Pr2 0.655 0.345 0.750
Ni1 0.000 0.000 0.000
Ni2 0.000 0.000 0.500
Ni3 0.335 0.335 0.000
Ni4 0.335 0.335 0.500
Ni5 0.665 0.665 0.000
Ni6 0.665 0.665 0.500

=====

Entry 3:
# Ac2PrNi
Calculated PXRD pattern, Cu Kα. Input: a cell relaxed with PBE.
Intensities are scaled so that the largest is 100.

Principal peaks in the range 2θ from 10° to 90°, sorted by position:
2θ = 28.59°, rel. 100; 2θ = 28.87°, rel. 33; 2θ = 29.39°, rel. 27; 2θ = 30.11°, rel. 29; 2θ = 31.05°, rel. 30; 2θ = 32.26°, rel. 37; 2θ = 35.12°, rel. 22; 2θ = 49.38°, rel. 23

Atomic structure:
abc: 7.438 10.549 6.800
angles: 90.00 90.00 90.00
Fractional coordinates of all 16 atoms:
Ac1 0.176 0.070 0.174
Ac2 0.176 0.430 0.174
Ac3 0.324 0.570 0.674
Ac4 0.324 0.930 0.674
Ac5 0.676 0.070 0.326
Ac6 0.676 0.430 0.326
Ac7 0.824 0.570 0.826
Ac8 0.824 0.930 0.826
Pr1 0.040 0.250 0.660
Pr2 0.460 0.750 0.160
Pr3 0.540 0.250 0.840
Pr4 0.960 0.750 0.340
Ni1 0.121 0.750 0.942
Ni2 0.379 0.250 0.442
Ni3 0.621 0.750 0.558
Ni4 0.879 0.250 0.058

=====

Entry 4:
# Ac2Ni9Pt
Calculated PXRD pattern, Cu Kα. Input: a cell relaxed with PBE.
Intensities are scaled so that the largest is 100.

Principal peaks in the range 2θ from 10° to 90°, sorted by position:
2θ = 20.68°, rel. 43; 2θ = 32.48°, rel. 79; 2θ = 35.43°, rel. 100; 2θ = 35.67°, rel. 95; 2θ = 41.59°, rel. 64; 2θ = 41.98°, rel. 88; 2θ = 48.92°, rel. 43; 2θ = 63.92°, rel. 37

Atomic structure:
abc: 8.795 8.795 8.795
angles: 33.26 33.26 33.26
Fractional coordinates of all 12 atoms:
Ac1 0.130 0.130 0.130
Ac2 0.870 0.870 0.870
Ni1 0.079 0.576 0.576
Ni2 0.332 0.332 0.332
Ni3 0.424 0.424 0.921
Ni4 0.424 0.921 0.424
Ni5 0.500 0.500 0.500
Ni6 0.576 0.079 0.576
Ni7 0.576 0.576 0.079
Ni8 0.668 0.668 0.668
Ni9 0.921 0.424 0.424
Pt1 0.000 0.000 0.000

=====

Entry 5:
# Ac8NiPt4
-- stop --
Health care – patient wait times
Calculated crystals, kept here for reference
____________
1.
For InSbPd3, DFT lattice parameters and positions (PBE) gives the calculated X-ray diffraction stick pattern in this record (CuKα).
Peak positions follow from Bragg's law for the DFT cell and can differ from measured ones.

Cell and atoms:
a b c (Å): 8.5479 8.5479 3.3667
angles (deg): 90.00 90.00 126.76
Atoms (fractional coordinates):
In (0.0000, 0.0000, 0.0000)
In (0.5000, 0.5000, 0.5000)
Sb (0.0000, 0.5000, 0.0000)
Sb (0.5000, 0.0000, 0.0000)
Pd (0.0871, 0.3013, 0.5000)
Pd (0.3013, 0.0871, 0.5000)
Pd (0.3637, 0.6363, 0.0000)
Pd (0.6363, 0.3637, 0.0000)
Pd (0.6987, 0.9129, 0.5000)
Pd (0.9129, 0.6987, 0.5000)

Principal peaks in the range 10 to 80 degrees two-theta, in order of rising 2θ:
2theta	I_rel
26.02	47.5
28.98	35.8
34.00	79.5
35.53	41.7
35.65	28.7
41.61	42.9
42.63	54.2
42.89	100.0
47.60	28.3
54.51	27.5


2.
For MgTaCd2O6, DFT lattice parameters and positions (PBE) gives the calculated X-ray diffraction stick pattern in this record (CuKα).
Peak positions follow from Bragg's law for the DFT cell and can differ from measured ones.

Cell and atoms:
a b c (Å): 5.4299 5.6334 9.6142
angles (deg): 90.00 124.22 90.00
Atoms (fractional coordinates):
Mg (0.0000, 0.0000, 0.0000)
Mg (0.0000, 0.5000, 0.5000)
Ta (0.5000, 0.0000, 0.5000)
Ta (0.5000, 0.5000, 0.0000)
Cd (0.2302, 0.0505, 0.7493)
Cd (0.2302, 0.4495, 0.2493)
Cd (0.7698, 0.5505, 0.7507)
Cd (0.7698, 0.9495, 0.2507)
O (0.1552, 0.2023, 0.4448)
O (0.1552, 0.2977, 0.9448)
O (0.2373, 0.7124, 0.4338)
O (0.2373, 0.7876, 0.9338)
O (0.3749, 0.0444, 0.2596)
O (0.3749, 0.4556, 0.7596)
O (0.6251, 0.5444, 0.2404)
O (0.6251, 0.9556, 0.7404)
O (0.7627, 0.2124, 0.0662)
O (0.7627, 0.2876, 0.5662)
O (0.8448, 0.7023, 0.0552)
O (0.8448, 0.7977, 0.5552)

Principal peaks in the range 10 to 80 degrees two-theta, in order of rising 2θ:
2theta	I_rel
19.31	27.7
19.81	26.3
31.77	21.5
32.11	100.0
32.99	21.2
38.49	12.0
45.65	13.1
46.46	21.3
56.81	13.7
58.30	10.8


3.
For Sc2Al8Pt, DFT lattice parameters and positions (PBE) gives the calculated X-ray diffraction stick pattern in this record (CuKα).
Peak positions follow from Bragg's law for the DFT cell and can differ from measured ones.

Cell and atoms:
a b c (Å): 4.1895 4.1895 10.9057
angles (deg): 90.00 90.00 90.00
Atoms (fractional coordinates):
Sc (0.0000, 0.0000, 0.1851)
Sc (0.0000, 0.0000, 0.8149)
Al (0.0000, 0.5000, 0.0000)
Al (0.0000, 0.5000, 0.3683)
Al (0.0000, 0.5000, 0.6317)
Al (0.5000, 0.0000, 0.0000)
Al (0.5000, 0.0000, 0.3683)
Al (0.5000, 0.0000, 0.6317)
Al (0.5000, 0.5000, 0.1903)
Al (0.5000, 0.5000, 0.8097)
Pt (0.0000, 0.0000, 0.5000)

Principal peaks in the range 10 to 80 degrees two-theta, in order of rising 2θ:
2theta	I_rel
16.26	17.8
21.21	58.5
22.74	58.3
26.84	36.2
32.61	39.8
39.23	100.0
43.19	43.4
45.20	18.5
55.12	26.3
76.54	27.2
____________
The government confirmed its commitment to working with the provinces and territories to reduce waiting times for publicly insured health services. Patient wait-time reduction targets for priority procedures are to be established by the end of this year. The budget states that patients should be given the option of receiving treatment at another hospital or clinic — even outside of their home province — if treatment is not available within a patient’s own area within a medically acceptable maximum time. The budget provides no additional funding to help the provinces meet this deadline over and above funds already promised following the September 2004 first ministers meeting on health care.
Steps to take
To sum up, on the immediate horizon, HR managers will need to ensure payroll systems are up to date to reflect income tax rate changes, consider the effect of proposed changes to the definition of medical expenses and, in industries employing skilled tradespeople, assess the potential benefit of the apprenticeship proposal. And unless they currently are in a surplus position, employers in the federal jurisdiction that sponsor DB pension plans will need to assess the potential impact of the temporary funding relief proposals.
Ian Genno is a principal of Towers Perrin in Toronto. This article was prepared with the assistance of colleagues in his office. He may be reached at [email protected].